Entries
1.
Below is C2HO3Sc as an isolated structure at a distorted geometry, with properties calculated with ωB97M-V/def2-TZVPD.

The electronic energy comes out at -1060.76900 a.u. The energy above the lowest of the compared OMol25 structures with the same formula, charge and spin comes out at 0.0000 eV. As for the HOMO-LUMO gap (alpha / beta): 6.912 / 6.912 eV.

```
! RIJCOSX wB97M-V def2-TZVPD def2/J DEFGRID3
* xyz 4 1
O 0.024 -2.222 -1.221
H -0.635 -2.917 -0.955
O -0.249 0.888 0.580
C 0.073 -0.142 0.004
C 0.243 -1.303 -0.467
O 0.517 1.948 0.468
Sc 0.027 3.748 1.592
*
```

The computed Mulliken charges, all in e, follow: 0.046 0.533 0.241 0.675 0.378 -0.327 2.453



2.
Below is an isolated ion of composition C2HO4P and charge -2 at a distorted geometry, with properties calculated with ωB97M-V/def2-TZVPD.

The electronic energy comes out at -719.01233 a.u. The energy above the lowest of the compared OMol25 structures with the same formula, charge and spin comes out at 1.9351 eV. As for the HOMO-LUMO gap: 5.623 eV.

```
! RIJCOSX wB97M-V def2-TZVPD def2/J DEFGRID3
* xyz -2 1
C -1.848 0.240 -0.237
C -0.285 0.136 -0.327
O 1.621 -1.726 -0.646
O 0.799 0.326 0.711
O 2.293 0.448 -1.630
O -2.183 0.676 1.120
P 1.278 -0.315 -0.841
H -1.674 0.216 1.850
*
```

The computed Mulliken charges, all in e, follow: -1.008 0.453 -0.765 -0.516 -0.782 -0.252 0.644 0.226



3.
Below is a 2-piece molecular cluster, C2HO4P overall at a distorted geometry, with properties calculated with ωB97M-V/def2-TZVPD.

The SMILES is O=CP=O.O=C=O. The electronic energy comes out at -719.11101 a.u. The energy above the lowest of the compared OMol25 structures with the same formula, charge and spin comes out at 0.0000 eV. As for the HOMO-LUMO gap: 8.257 eV.

```
! RIJCOSX wB97M-V def2-TZVPD def2/J DEFGRID3
* xyz 0 1
O 1.104 0.208 -0.520
C 0.028 -0.214 -0.154
P -1.433 -0.584 -1.367
O -2.157 0.637 -0.950
H -0.373 -0.020 0.961
O 2.220 1.261 -3.319
C 1.147 0.905 -3.060
O 0.094 0.481 -2.993
*
```

The computed Mulliken charges, all in e, follow: -0.427 0.112 0.434 -0.420 0.267 -0.362 0.763 -0.367



4.
Below is C2HgLiO4 as an isolated structure at a distorted geometry, with properties calculated with ωB97M-V/def2-TZVPD.

The electronic energy comes out at -538.09658 a.u. The energy above the lowest of the compared OMol25 structures with the same formula, charge and spin comes out at 1.1591 eV. As for the HOMO-LUMO gap (alpha / beta): 5.675 / 4.473 eV.

```
! RIJCOSX wB97M-V def2-TZVPD def2/J DEFGRID3
* xyz -1 3
O 0.892 -0.607 0.527
C 1.861 0.102 0.238
O 1.741 1.382 -0.042
O 2.967 -0.504 -0.173
Li -0.320 0.858 -0.415
Hg -0.799 -1.311 -0.676
C -2.595 -0.073 0.212
O -3.747 0.153 0.329
*
```

The computed Mulliken charges, all in e, follow: -0.769 0.763 -0.850 -0.702 0.700 0.370 -0.197 -0.314

=====

Entry 1:
Molecular formula: C20H30N3O5PSn
Method: DFT, wB97M-V/def2-TZVPD

The value obtained for the HOMO energy (alpha / beta) is -21.5 / -21.5 eV.

Geometry as ORCA input:
```
! RIJCOSX wB97M-V def2-TZVPD def2/J DEFGRID3
* xyz 4 1
N 0.621 -0.365 -2.742
C 0.251 -0.645 -3.810
C -0.150 -0.977 -5.157
H -1.167 -0.619 -5.357
H -0.124 -2.060 -5.315
H 0.529 -0.507 -5.877
N 4.476 -0.350 -0.028
C 5.639 -0.388 -0.089
C 7.076 -0.446 -0.173
H 7.417 -1.480 -0.289
H 7.533 -0.029 0.731
H 7.430 0.130 -1.034
N 0.921 2.437 0.890
C 0.616 3.486 1.293
C 0.272 4.790 1.784
H 1.125 5.465 1.671
H -0.001 4.732 2.841
H -0.576 5.189 1.220
Sn 1.599 0.646 -0.617
C 3.688 1.798 1.330
O 4.634 2.129 1.875
C 3.348 -1.168 -2.478
O 3.952 -1.764 -3.232
C 0.623 -3.978 1.018
C -0.560 -3.380 1.456
C -0.544 -2.547 2.583
C 0.654 -2.325 3.280
C 1.831 -2.946 2.854
C 1.816 -3.775 1.722
H 0.609 -4.649 0.152
H -1.496 -3.563 0.926
H -1.463 -2.046 2.901
H 0.670 -1.643 4.132
H 2.776 -2.724 3.349
H 2.745 -4.232 1.366
C -3.545 1.055 2.900
C -2.271 1.709 2.440
O -2.128 1.651 0.952
P -1.164 0.554 0.203
O -2.209 -0.425 -0.566
C -3.645 -0.650 -0.354
C -3.898 -2.065 -0.801
O -0.521 1.441 -1.120
C -1.027 2.412 -2.096
C -2.195 1.895 -2.874

To do
Now find "-0.950" and "2.583" in the calculation results further up, and write out these two lines and those between.

Worked solution
O -2.157 0.637 -0.950
H -0.373 -0.020 0.961
O 2.220 1.261 -3.319
C 1.147 0.905 -3.060
O 0.094 0.481 -2.993
*
```

The computed Mulliken charges, all in e, follow: -0.427 0.112 0.434 -0.420 0.267 -0.362 0.763 -0.367



4.
Below is C2HgLiO4 as an isolated structure at a distorted geometry, with properties calculated with ωB97M-V/def2-TZVPD.

The electronic energy comes out at -538.09658 a.u. The energy above the lowest of the compared OMol25 structures with the same formula, charge and spin comes out at 1.1591 eV. As for the HOMO-LUMO gap (alpha / beta): 5.675 / 4.473 eV.

```
! RIJCOSX wB97M-V def2-TZVPD def2/J DEFGRID3
* xyz -1 3
O 0.892 -0.607 0.527
C 1.861 0.102 0.238
O 1.741 1.382 -0.042
O 2.967 -0.504 -0.173
Li -0.320 0.858 -0.415
Hg -0.799 -1.311 -0.676
C -2.595 -0.073 0.212
O -3.747 0.153 0.329
*
```

The computed Mulliken charges, all in e, follow: -0.769 0.763 -0.850 -0.702 0.700 0.370 -0.197 -0.314

=====

Entry 1:
Molecular formula: C20H30N3O5PSn
Method: DFT, wB97M-V/def2-TZVPD

The value obtained for the HOMO energy (alpha / beta) is -21.5 / -21.5 eV.

Geometry as ORCA input:
```
! RIJCOSX wB97M-V def2-TZVPD def2/J DEFGRID3
* xyz 4 1
N 0.621 -0.365 -2.742
C 0.251 -0.645 -3.810
C -0.150 -0.977 -5.157
H -1.167 -0.619 -5.357
H -0.124 -2.060 -5.315
H 0.529 -0.507 -5.877
N 4.476 -0.350 -0.028
C 5.639 -0.388 -0.089
C 7.076 -0.446 -0.173
H 7.417 -1.480 -0.289
H 7.533 -0.029 0.731
H 7.430 0.130 -1.034
N 0.921 2.437 0.890
C 0.616 3.486 1.293
C 0.272 4.790 1.784
H 1.125 5.465 1.671
H -0.001 4.732 2.841
H -0.576 5.189 1.220
Sn 1.599 0.646 -0.617
C 3.688 1.798 1.330
O 4.634 2.129 1.875
C 3.348 -1.168 -2.478
O 3.952 -1.764 -3.232
C 0.623 -3.978 1.018
C -0.560 -3.380 1.456
C -0.544 -2.547 2.583